Java Practice content

Java Practice Content to master the concepts

Misplaced records of crystals.
=====
Computed XRD peak list of Pa2NbH6 for a wavelength of 1.5418 Å, from a DFT-relaxed cell (GGA-PBE, Alexandria).

Atomic structure:
Unit cell a=10.596 b=5.148 c=3.361 alpha=90.00 beta=95.25 gamma=90.00
Space group C2/m (No. 12)
Unique sites:
Pa: 0.149 0.000 0.213
Nb: 0.000 0.500 0.500
H: 0.000 0.293 0.000
H: 0.161 0.293 0.692

Top 10 peaks for 10° ≤ 2θ ≤ 90°, sorted by position:
- 19.18 deg, intensity 32
- 30.29 deg, intensity 16
- 30.79 deg, intensity 100
- 32.38 deg, intensity 85
- 32.98 deg, intensity 44
- 34.85 deg, intensity 39
- 41.61 deg, intensity 15
- 48.74 deg, intensity 32
- 56.54 deg, intensity 19
- 59.98 deg, intensity 16

Computed XRD peak list of KMn5Se8 for a wavelength of 1.5418 Å, from a DFT-relaxed cell (GGA-PBE, Alexandria).

Atomic structure:
Unit cell a=18.877 b=3.698 c=9.052 alpha=90.00 beta=105.01 gamma=90.00
Space group C2/m (No. 12)
Unique sites:
K: 0.000 0.000 0.000
Mn: 0.000 0.500 0.500
Mn: 0.158 0.000 0.489
Mn: 0.204 0.000 0.839
Se: 0.071 0.000 0.663
Se: 0.086 0.500 0.330
Se: 0.166 0.500 0.994
Se: 0.239 0.500 0.656

Top 10 peaks for 10° ≤ 2θ ≤ 90°, sorted by position:
- 10.12 deg, intensity 46
- 12.08 deg, intensity 29
- 31.20 deg, intensity 54
- 31.38 deg, intensity 100
- 32.66 deg, intensity 62
- 33.64 deg, intensity 27
- 37.30 deg, intensity 31
- 39.13 deg, intensity 36
- 49.29 deg, intensity 34
- 50.01 deg, intensity 59

~~~~~

For KMgNi2H3Se2O10, the GGA+U geometry in Alexandria gives the calculated powder X-ray diffraction pattern in this record (a wavelength of 1.5418 Å).
No peak broadening, texture or thermal motion is included.

Largest 6 diffraction maxima, low angle first, 5° ≤ 2θ ≤ 70°:
2θ/deg	I_rel
12.47	85
17.45	77
22.42	97
29.52	88
29.94	68
32.31	100

Crystal structure
a b c (Å): 6.060 6.060 8.396
angles (deg): 116.55 116.55 66.26
Fractional coordinates of all 19 atoms:
1 K 0.000 0.000 0.000
2 Mg 0.056 0.056 0.679
3 Ni 0.006 0.520 0.458
4 Ni 0.520 0.006 0.458
5 H 0.301 0.301 0.685
6 H 0.740 0.740 0.133
7 H 0.906 0.906 0.306
8 Se 0.405 0.405 0.187
9 Se 0.614 0.614 0.702
10 O 0.200 0.200 0.565
11 O 0.276 0.276 0.955
12 O 0.286 0.699 0.669
13 O 0.301 0.301 0.293
14 O 0.313 0.726 0.251
15 O 0.699 0.286 0.669
16 O 0.726 0.313 0.251
17 O 0.728 0.728 0.940
18 O 0.799 0.799 0.277
19 O 0.825 0.825 0.610
=====
So much for the records of crystals.

Core Java:

  1. Language Basics:
    • Syntax and semantics of Java language constructs.
    • Understanding keywords, operators, and control flow statements.
  2. Class, Variable, Method, Constructor Syntax:
    • Creating classes with appropriate member variables, methods, and constructors.
    • Understanding access modifiers and their impact on class members.
  3. Variable Declaration and Initialization:
    • Declaring variables with appropriate data types.
    • Initializing variables using constructors, initialization blocks, or directly.
  4. Variable and Method Calling:
    • Accessing instance variables and methods using object references.
    • Accessing static variables and methods using the class name.
  5. Types of Variables:
    • Understanding instance variables, static variables, local variables, and method parameters.
  6. Types of Methods:
    • Defining instance methods and static methods.
    • Exploring methods with return types and parameters.
  7. Array:
    • Creating, initializing, and manipulating arrays.
    • Understanding array operations like traversal, sorting, and searching.
  8. String:
    • Manipulating strings using various methods provided by the String class.
    • Understanding string immutability and the StringBuilder class for mutable string operations.
  9. OOPS (Object-Oriented Programming):
    • Understanding the principles of encapsulation, inheritance, polymorphism, and abstraction.
    • Implementing class hierarchies, interfaces, and abstract classes.
  10. Exception Handling:
    • Handling exceptions using try-catch blocks.
    • Exploring exception propagation and creating custom exceptions.
  11. Collections:
    • Understanding the Java Collections Framework (List, Set, Map, Queue, etc.).
    • Exploring common collection operations like iteration, addition, removal, and sorting.
  12. Multithreading:
    • Creating and managing threads in Java.
    • Understanding synchronization, thread communication, and thread pools.
  13. Java 8 Features:
    • Lambda expressions, functional interfaces, and method references.
    • Stream API for processing collections declaratively.
    • Optional class for handling potentially null values.

Advanced Java:

  1. JDBC (Java Database Connectivity):
    • Connecting to databases using JDBC.
    • Performing CRUD operations and handling transactions.
  2. Servlets:
    • Creating web applications using Servlet technology.
    • Understanding servlet lifecycle and handling HTTP requests and responses.
  3. JSP (JavaServer Pages):
    • Building dynamic web pages using JSP.
    • Integrating Java code with HTML for server-side rendering.

Spring Framework:

  1. MVC (Model-View-Controller):
    • Implementing web applications using the MVC pattern in Spring.
    • Creating controllers, views, and models for handling user requests.
  2. IoC (Inversion of Control):
    • Understanding dependency injection and inversion of control in Spring.
    • Configuring beans and wiring dependencies using XML or annotations.
  3. Security:
    • Implementing security features like authentication and authorization using Spring Security.
  4. Data JPA:
    • Working with Spring Data JPA for simplifying database operations.
    • Defining repositories, entities, and queries using Spring Data JPA.


  1. Gateway Service:
    • Building an API gateway for routing and filtering requests to microservices.
  2. Registry Service:
    • Implementing service discovery and registration using technologies like Eureka or Consul.
  3. Config Server:
    • Centralizing configuration management for microservices using Spring Cloud Config.


  1. JUnit:
    • Writing unit tests for Java classes using JUnit framework.
    • Understanding test fixtures, assertions, and annotations.
  2. Mockito:
    • Mocking dependencies and behavior verification using Mockito framework.
  3. Logging:
    • Implementing logging in Java applications using logging frameworks like Log4j or SLF4J.
  4. Swagger:
    • Documenting RESTful APIs using Swagger for easy API discovery and testing.
  5. Lombok:
    • Reducing boilerplate code in Java classes using Lombok annotations.
  6. FeignClient:
    • Implementing declarative REST clients using Feign in Spring Cloud applications.
  7. MySQL:
    • Working with MySQL database for data storage and retrieval.